~~~
A structure of composition C28H53AlBrCl2F4KN3O11PS. Source: OMol25; level of theory: wB97M-V/def2-TZVPD.

Last column: Löwdin charge in e.
Cartesian coordinates (Å):
C: 3.81861 -4.06680 1.89421  -0.165
C: 4.18214 -2.45351 1.66819  -0.242
C: 5.21490 -2.42344 0.35275  -0.226
C: 5.27344 -0.96603 -0.39335  -0.263
C: 4.06580 -0.67235 -1.45894  -0.202
C: 3.10906 -1.95493 -1.80926  -0.223
C: 2.03664 -1.70261 -3.03408  -0.205
C: 1.19872 -0.29752 -2.93385  -0.177
C: -0.29572 -0.60475 -2.29334  -0.080
C: -0.36899 -0.86294 -0.65610  -0.070
F: 0.88726 -0.75787 0.12143  -0.254
C: -1.74544 -1.22992 0.17366  -0.132
C: -1.60212 -1.49931 1.79415  -0.321
C: -0.61198 -2.80045 2.04953  -0.198
C: -1.45566 -4.23828 2.16260  -0.168
C: -0.78859 -5.39599 1.17713  -0.237
C: -1.71786 -5.78473 -0.11772  -0.297
N: -1.40206 -5.01924 -1.38362  -0.033
C: -3.18478 -1.30581 -0.66496  -0.043
C: -4.61081 -1.62720 0.10830  -0.232
F: -4.80252 -0.83836 1.35174  -0.050
F: -5.80620 -1.37954 -0.75822  -0.013
F: -4.65873 -3.07765 0.46361  -0.037
C: -3.06790 -1.00912 -2.30364  -0.152
N: -4.23447 -0.97987 -3.30831  -0.368
S: -3.59411 -0.64450 -4.91494  0.726
N: -1.84026 -0.42383 -4.70132  -0.300
C: -1.69684 -0.66972 -3.19144  -0.189
H: 2.94306 -4.32569 1.16251  0.047
H: 4.79605 -4.69496 1.62629  0.081
H: 3.58187 -4.32363 3.01937  0.069
H: 3.23478 -1.78277 1.52122  0.031
H: 4.76936 -2.14176 2.65957  0.119
H: 6.29608 -2.59377 0.82989  0.113
H: 5.05140 -3.34275 -0.36929  0.102
H: 6.32823 -0.79091 -0.87252  0.029
H: 5.16186 -0.14650 0.46770  0.075
H: 3.41784 0.23117 -1.04038  0.095
H: 4.57705 -0.26679 -2.45862  0.134
H: 2.61072 -2.39813 -0.82359  0.096
H: 3.83625 -2.82047 -2.19311  0.112
H: 1.22934 -2.57725 -2.94851  0.111
H: 2.51310 -1.84069 -4.11612  0.117
H: 0.99169 0.05268 -4.05606  0.120
H: 1.76823 0.58696 -2.42152  0.106
H: -1.03985 -0.54606 2.23124  -0.093
H: -2.61149 -1.72671 2.34125  0.107
H: 0.17566 -2.97223 1.19410  0.094
H: 0.01715 -2.59366 3.04277  0.114
H: -1.25995 -4.61315 3.27095  0.108
H: -2.59886 -4.06042 1.95070  0.107
H: -0.68724 -6.38448 1.83669  0.077
H: 0.29784 -5.12555 0.82795  0.071
H: -2.84656 -5.64812 0.17309  0.112
H: -1.50681 -6.92803 -0.35398  0.075
H: -1.09935 -4.03848 -1.19526  0.058
H: -0.73922 -5.52521 -2.01226  0.040
K: -2.40620 0.91953 2.43728  0.849
C: -8.55724 -3.80790 -1.01929  -0.173
O: -8.55392 -2.39480 -1.10582  -0.134
H: -9.57777 -4.14999 -0.83185  0.072
H: -8.20022 -4.23239 -1.96088  0.076
H: -7.91209 -4.12512 -0.19638  0.071
H: -7.63597 -2.12090 -1.27242  0.050
C: -0.55406 5.58989 5.03452  -0.114
O: -1.45967 5.56862 3.93813  -0.217
C: -2.42818 6.61994 4.01508  -0.188
C: -2.07918 7.76631 3.06118  -0.362
O: -0.88878 8.44264 3.47739  -0.498
C: 0.24385 8.06360 2.70303  -0.088
H: 0.26986 4.90697 4.81175  0.080
H: -0.14074 6.58893 5.20041  0.091
H: -1.06165 5.24388 5.93959  0.084
H: -2.53217 6.98179 5.04543  0.110
H: -3.38808 6.19085 3.71198  0.118
H: -2.88771 8.50290 3.08586  -0.045
H: -1.98541 7.40626 2.02940  0.127
H: 0.17327 8.50647 1.70451  0.093
H: 0.33372 6.97741 2.61976  0.086
H: 1.14062 8.44886 3.19582  0.092
C: 8.32926 1.63062 -0.12284  -0.992
Cl: 6.60370 1.99052 0.01049  0.597
Cl: 8.61332 -0.11348 -0.17270  0.517
H: 8.71667 2.08055 -1.04016  0.030
H: 8.84820 2.05095 0.74204  0.027
Br: -2.27777 10.13960 4.13631  0.336
O: 0.82812 -7.92777 0.07718  -0.007
H: 1.46383 -7.88688 0.83628  0.067
H: 0.66580 -8.86246 -0.20936  0.074
H: 1.13117 -7.36450 -0.67981  0.067
O: -3.42193 8.64107 7.13393  -0.425
H: -3.53361 9.36479 6.54489  -0.217
Al: 1.32223 0.28989 1.65462  0.943
O: 3.55240 3.72612 -1.18037  -0.217
P: 3.42225 4.48359 0.15129  -0.122
O: 4.54066 5.53345 0.25517  -0.208
O: 3.54104 3.49028 1.31907  -0.309
O: 2.05481 5.18374 0.21183  -0.199
O: -2.03763 3.97507 -6.32532  -0.075
C: -1.75346 2.67810 -6.51083  -0.331
C: -2.20353 2.24156 -7.98392  -0.338
O: -1.93930 0.93912 -8.16159  -0.096
H: -2.23332 1.95683 -5.82584  0.078
H: -0.69335 2.38086 -6.42520  0.120
H: -1.70451 2.95108 -8.66763  0.113
H: -3.25705 2.55712 -8.08033  0.113
~~~

The reader should echo the whole of the block further up without additions.

A structure of composition C28H53AlBrCl2F4KN3O11PS. Source: OMol25; level of theory: wB97M-V/def2-TZVPD.

Last column: Löwdin charge in e.
Cartesian coordinates (Å):
C: 3.81861 -4.06680 1.89421  -0.165
C: 4.18214 -2.45351 1.66819  -0.242
C: 5.21490 -2.42344 0.35275  -0.226
C: 5.27344 -0.96603 -0.39335  -0.263
C: 4.06580 -0.67235 -1.45894  -0.202
C: 3.10906 -1.95493 -1.80926  -0.223
C: 2.03664 -1.70261 -3.03408  -0.205
C: 1.19872 -0.29752 -2.93385  -0.177
C: -0.29572 -0.60475 -2.29334  -0.080
C: -0.36899 -0.86294 -0.65610  -0.070
F: 0.88726 -0.75787 0.12143  -0.254
C: -1.74544 -1.22992 0.17366  -0.132
C: -1.60212 -1.49931 1.79415  -0.321
C: -0.61198 -2.80045 2.04953  -0.198
C: -1.45566 -4.23828 2.16260  -0.168
C: -0.78859 -5.39599 1.17713  -0.237
C: -1.71786 -5.78473 -0.11772  -0.297
N: -1.40206 -5.01924 -1.38362  -0.033
C: -3.18478 -1.30581 -0.66496  -0.043
C: -4.61081 -1.62720 0.10830  -0.232
F: -4.80252 -0.83836 1.35174  -0.050
F: -5.80620 -1.37954 -0.75822  -0.013
F: -4.65873 -3.07765 0.46361  -0.037
C: -3.06790 -1.00912 -2.30364  -0.152
N: -4.23447 -0.97987 -3.30831  -0.368
S: -3.59411 -0.64450 -4.91494  0.726
N: -1.84026 -0.42383 -4.70132  -0.300
C: -1.69684 -0.66972 -3.19144  -0.189
H: 2.94306 -4.32569 1.16251  0.047
H: 4.79605 -4.69496 1.62629  0.081
H: 3.58187 -4.32363 3.01937  0.069
H: 3.23478 -1.78277 1.52122  0.031
H: 4.76936 -2.14176 2.65957  0.119
H: 6.29608 -2.59377 0.82989  0.113
H: 5.05140 -3.34275 -0.36929  0.102
H: 6.32823 -0.79091 -0.87252  0.029
H: 5.16186 -0.14650 0.46770  0.075
H: 3.41784 0.23117 -1.04038  0.095
H: 4.57705 -0.26679 -2.45862  0.134
H: 2.61072 -2.39813 -0.82359  0.096
H: 3.83625 -2.82047 -2.19311  0.112
H: 1.22934 -2.57725 -2.94851  0.111
H: 2.51310 -1.84069 -4.11612  0.117
H: 0.99169 0.05268 -4.05606  0.120
H: 1.76823 0.58696 -2.42152  0.106
H: -1.03985 -0.54606 2.23124  -0.093
H: -2.61149 -1.72671 2.34125  0.107
H: 0.17566 -2.97223 1.19410  0.094
H: 0.01715 -2.59366 3.04277  0.114
H: -1.25995 -4.61315 3.27095  0.108
H: -2.59886 -4.06042 1.95070  0.107
H: -0.68724 -6.38448 1.83669  0.077
H: 0.29784 -5.12555 0.82795  0.071
H: -2.84656 -5.64812 0.17309  0.112
H: -1.50681 -6.92803 -0.35398  0.075
H: -1.09935 -4.03848 -1.19526  0.058
H: -0.73922 -5.52521 -2.01226  0.040
K: -2.40620 0.91953 2.43728  0.849
C: -8.55724 -3.80790 -1.01929  -0.173
O: -8.55392 -2.39480 -1.10582  -0.134
H: -9.57777 -4.14999 -0.83185  0.072
H: -8.20022 -4.23239 -1.96088  0.076
H: -7.91209 -4.12512 -0.19638  0.071
H: -7.63597 -2.12090 -1.27242  0.050
C: -0.55406 5.58989 5.03452  -0.114
O: -1.45967 5.56862 3.93813  -0.217
C: -2.42818 6.61994 4.01508  -0.188
C: -2.07918 7.76631 3.06118  -0.362
O: -0.88878 8.44264 3.47739  -0.498
C: 0.24385 8.06360 2.70303  -0.088
H: 0.26986 4.90697 4.81175  0.080
H: -0.14074 6.58893 5.20041  0.091
H: -1.06165 5.24388 5.93959  0.084
H: -2.53217 6.98179 5.04543  0.110
H: -3.38808 6.19085 3.71198  0.118
H: -2.88771 8.50290 3.08586  -0.045
H: -1.98541 7.40626 2.02940  0.127
H: 0.17327 8.50647 1.70451  0.093
H: 0.33372 6.97741 2.61976  0.086
H: 1.14062 8.44886 3.19582  0.092
C: 8.32926 1.63062 -0.12284  -0.992
Cl: 6.60370 1.99052 0.01049  0.597
Cl: 8.61332 -0.11348 -0.17270  0.517
H: 8.71667 2.08055 -1.04016  0.030
H: 8.84820 2.05095 0.74204  0.027
Br: -2.27777 10.13960 4.13631  0.336
O: 0.82812 -7.92777 0.07718  -0.007
H: 1.46383 -7.88688 0.83628  0.067
H: 0.66580 -8.86246 -0.20936  0.074
H: 1.13117 -7.36450 -0.67981  0.067
O: -3.42193 8.64107 7.13393  -0.425
H: -3.53361 9.36479 6.54489  -0.217
Al: 1.32223 0.28989 1.65462  0.943
O: 3.55240 3.72612 -1.18037  -0.217
P: 3.42225 4.48359 0.15129  -0.122
O: 4.54066 5.53345 0.25517  -0.208
O: 3.54104 3.49028 1.31907  -0.309
O: 2.05481 5.18374 0.21183  -0.199
O: -2.03763 3.97507 -6.32532  -0.075
C: -1.75346 2.67810 -6.51083  -0.331
C: -2.20353 2.24156 -7.98392  -0.338
O: -1.93930 0.93912 -8.16159  -0.096
H: -2.23332 1.95683 -5.82584  0.078
H: -0.69335 2.38086 -6.42520  0.120
H: -1.70451 2.95108 -8.66763  0.113
H: -3.25705 2.55712 -8.08033  0.113